'''
No. 1
17
Properties=species:S:1:pos:R:3:forces:R:3 method="wB97M-V/def2-TZVPD" homo_lumo_gap_ev="8.9279 / 7.9663" de_lowest_ev=5.479 max_force_ev_per_a=3.30 lumo_energy_ha="0.023 / -0.022" homo_ha="-0.3054 / -0.3152"
C 1.11900 -1.12744 -0.81376 1.53 1.90 1.08
C 0.63595 0.19428 -0.06721 0.46 1.00 -2.43
C -0.30645 -0.38587 0.83731 0.15 -2.13 -1.88
C 1.67877 1.13269 0.59051 -1.85 -0.51 2.08
C -2.66821 0.23962 -0.31953 0.05 0.48 3.26
N 0.24749 -2.18467 -0.36019 0.61 0.39 0.61
N -0.46290 -1.72709 0.58570 -1.52 -0.02 1.73
F -2.38724 1.52843 -0.39359 -0.43 0.03 -0.29
F -3.71507 -0.03376 0.48367 0.75 0.46 -0.91
H 1.05383 -1.12729 -1.85357 -0.38 0.47 -1.96
H 2.23198 -1.22819 -0.67928 -0.93 -0.63 0.52
H 0.04595 0.85534 -0.77873 0.69 -0.67 0.36
H -0.60833 0.18753 1.63532 -1.29 0.33 2.07
H 2.03476 0.61173 1.56407 -0.05 1.15 -1.72
H 1.19494 2.14301 0.83918 0.66 -1.52 -0.15
H 2.39990 1.30909 -0.15147 1.54 0.27 -0.49
H -2.49436 -0.38740 -1.11845 0.02 -1.00 -1.87



No. 2
15
Properties=species:S:1:pos:R:3:forces:R:3 method="wB97M-V/def2-TZVPD" homo_lumo_gap_ev="8.0205 / 7.9421" de_lowest_ev=4.567 max_force_ev_per_a=3.86 lumo_energy_ha="-0.007 / -0.006" homo_ha="-0.3017 / -0.2977"
C -2.08520 -0.14878 1.29942 0.32 -1.15 -1.33
C 0.45112 -1.24798 -0.18536 0.24 1.52 1.00
C 0.09052 1.31734 -0.38938 2.99 -1.96 1.45
C 1.76021 -0.73101 0.07936 1.61 1.31 0.35
C 0.79165 0.04443 -0.82258 -0.76 -1.17 -1.59
F 0.27227 -2.40056 -0.75146 -0.39 -1.52 -1.09
I -3.43186 0.11096 -0.17427 -0.46 -0.08 -0.40
H -2.23486 0.45669 2.11976 -0.05 1.01 1.68
H 0.73089 2.10820 -0.71498 -0.16 1.00 -0.10
H 0.08360 1.20549 0.71082 -0.59 0.83 -0.51
H -0.81168 1.18333 -0.87312 -2.17 0.86 -0.56
H 2.68454 -1.15603 -0.33097 -0.52 -0.05 0.05
H 1.93707 -0.06239 0.91695 0.09 -0.63 0.53
H -1.15755 -0.64501 1.02093 -0.37 0.07 0.36
H 0.91929 -0.03470 -1.90512 0.22 -0.04 0.15



Looking at electronic energy for the records above, in order, we have -13724.6236, -16126.9812 eV.

=====

1.
This record from the Open Molecules 2025 dataset describes one molecule with the formula C24H31N3O4S. The level of theory is wB97M-V/def2-TZVPD.

```
63
Properties=species:S:1:pos:R:3:forces:R:3:mulliken_charge:R:1
C 5.079943 0.100261 1.289247 -0.1689 -0.0243 -0.1933 -1.45
C 4.354800 -0.727963 0.236027 0.1790 -0.1350 0.2322 0.41
C 4.794988 -2.190032 0.271783 -0.1047 0.1073 -0.3515 -0.75
C 4.141636 -3.049880 -0.811051 -0.1240 -0.0355 0.2741 -0.89
C 2.653524 -3.278434 -0.563219 -0.0037 -0.1389 -0.3414 0.36
C 2.033824 -4.174744 -1.637117 0.3442 0.2030 0.1970 -0.82
O 0.663226 -4.432335 -1.398066 -0.2839 -0.1258 -0.0115 -0.48
C -0.228896 -3.409835 -1.499420 -0.2209 0.1415 0.0464 0.35
C 0.005699 -2.192961 -2.132433 0.1296 -0.4086 0.0705 -0.16
C -0.964887 -1.209016 -2.148506 -0.1610 0.1523 0.0008 -0.59
C -2.185319 -1.417100 -1.520803 0.3299 -0.1629 -0.1456 0.12
N -3.137344 -0.395492 -1.354890 -0.3445 -0.3171 0.0454 -0.06
C -3.016352 0.905048 -1.725670 -0.6339 0.3587 0.1068 0.19
O -2.303856 1.313216 -2.616369 0.2164 0.0235 -0.1552 -0.61
C -3.785154 1.856216 -0.809625 0.2951 -0.0345 -0.0817 -1.08
C -2.937890 1.996010 0.474001 -0.4478 0.1196 0.0508 0.25
C -2.904188 0.675962 1.242162 -0.1287 0.2759 0.0061 -0.28
O -3.847160 0.070109 1.692425 -0.2036 -0.0288 0.0019 -0.65
N -1.602537 0.281412 1.269574 0.1042 0.1278 -0.0362 0.69
C -1.128186 -0.944166 1.874530 0.1663 -0.3130 0.2657 -0.30
C -0.466942 -0.681265 3.221413 -0.0946 -0.0003 -0.1746 -1.39
C -0.782167 1.184121 0.612209 0.0643 0.1717 -0.0403 0.30
S 0.823725 0.981852 0.391676 0.6736 -0.0618 -0.0969 -0.50
N -1.537600 2.218253 0.200038 -0.1001 -0.3591 0.1196 0.31
C -1.044755 3.335902 -0.577410 -0.1554 0.3134 -0.1572 -0.77
C -1.514831 4.629569 -0.005852 0.8337 0.0405 0.4959 0.21
C -0.972662 5.455721 0.934051 -0.1728 -0.4443 -0.4777 -0.58
C -1.888155 6.523869 1.099556 -0.4930 0.0148 -0.2678 -0.46
C -2.919483 6.264764 0.252757 0.1894 0.6349 0.6140 -0.53
O -2.707045 5.120455 -0.417466 -0.1632 -0.3498 -0.3840 -0.27
C -2.443042 -2.650291 -0.926728 0.0581 0.1240 -0.1232 -0.45
'''

Find "-0.39359 -0.43" and "-0.007" in the block above, and quote these two lines and those between.

F -2.38724 1.52843 -0.39359 -0.43 0.03 -0.29
F -3.71507 -0.03376 0.48367 0.75 0.46 -0.91
H 1.05383 -1.12729 -1.85357 -0.38 0.47 -1.96
H 2.23198 -1.22819 -0.67928 -0.93 -0.63 0.52
H 0.04595 0.85534 -0.77873 0.69 -0.67 0.36
H -0.60833 0.18753 1.63532 -1.29 0.33 2.07
H 2.03476 0.61173 1.56407 -0.05 1.15 -1.72
H 1.19494 2.14301 0.83918 0.66 -1.52 -0.15
H 2.39990 1.30909 -0.15147 1.54 0.27 -0.49
H -2.49436 -0.38740 -1.11845 0.02 -1.00 -1.87



No. 2
15
Properties=species:S:1:pos:R:3:forces:R:3 method="wB97M-V/def2-TZVPD" homo_lumo_gap_ev="8.0205 / 7.9421" de_lowest_ev=4.567 max_force_ev_per_a=3.86 lumo_energy_ha="-0.007 / -0.006" homo_ha="-0.3017 / -0.2977"